Retype the lines further below from the one with "0.1476 0.0" to the one with "1.9138 0.0" word for word.

1.
58
Properties=species:S:1:pos:R:3:forces:R:3 method="wB97M-V/def2-TZVPD" e_above_lowest_ev=1.7799 smiles="COc1ccccc1N1CCN(C(=O)C[C@@H]2N[C@@H]3CCCC[C@H]3NC2=O)CC1" fmax_ev_per_a=0.55
O 5.2437 0.7196 -0.4548 -0.4 -0.4 0.2
O -2.1616 0.2745 2.6939 0.2 0.1 0.2
O -0.5631 3.2935 -1.1527 -0.2 0.2 -0.3
N 0.6499 2.0072 0.2334 0.5 -0.1 0.0
N 2.6842 0.0554 0.1476 0.0 0.1 0.2
N -3.1753 0.7664 -0.7777 0.0 0.2 -0.1
N -3.9946 -0.4246 1.6147 -0.4 -0.3 0.1
C 5.9507 -1.6003 -0.3039 0.1 0.2 -0.1
C -5.6109 -1.8697 0.4574 -0.1 0.3 -0.1
C -2.2707 0.8041 0.3540 0.2 0.0 0.2
C 5.6294 -2.9258 -0.0470 -0.1 -0.1 0.0
C 3.3501 -2.2894 0.2990 0.0 0.2 -0.1
C 0.8723 1.1253 1.3553 -0.1 -0.4 0.2
C -6.4771 -1.9651 -0.7970 0.2 -0.2 0.0
C -5.6275 -1.8277 -2.0588 -0.2 0.2 0.0
C 2.4398 0.9101 -0.9976 0.0 0.3 -0.1
C -0.5111 2.5568 -0.1846 -0.4 0.2 0.2
C 1.8655 2.2414 -0.5194 0.1 0.0 -0.5
C -4.8445 -0.5172 -2.0499 0.3 -0.3 0.1
C -2.8110 0.2098 1.6642 0.1 0.0 -0.1
C 4.3302 -3.2675 0.2610 0.1 -0.1 0.0
C 6.5718 1.1203 -0.6753 0.2 0.1 -0.1
C -3.9683 -0.4421 -0.8037 -0.5 0.2 0.0
C -4.8479 -0.5481 0.4512 0.2 -0.2 -0.3
C -1.7559 2.2272 0.6242 0.1 -0.1 -0.1
C 4.9832 -0.6120 -0.2508 0.0 0.1 -0.1
C 1.4628 -0.2066 0.8717 0.0 0.2 0.3
C 3.6429 -0.9532 0.0452 0.2 -0.1 0.0
H -1.4185 0.1576 0.0913 -0.1 0.1 0.2
H 6.9770 0.6939 -1.5994 0.0 0.0 0.1
H 7.2206 0.8497 0.1641 0.0 0.0 0.0
H -3.2655 -1.2856 -0.8055 -0.1 -0.1 0.0
H -6.2699 -1.8665 -2.9398 0.0 -0.1 0.0
H -3.7773 1.5836 -0.7900 0.0 0.0 0.0
H 1.7205 0.4350 -1.6865 0.0 0.0 0.0
H -4.9287 -2.6648 -2.1172 0.0 -0.1 -0.1
H -5.5363 0.3281 -2.0561 0.0 0.1 0.0
H 3.3726 1.0842 -1.5279 -0.1 0.0 0.0
H 6.5378 2.2052 -0.7675 0.1 -0.1 0.0
H 4.0680 -4.2949 0.4640 0.0 -0.1 0.0
H 6.9749 -1.3490 -0.5298 0.1 0.1 0.0
H 2.3350 -2.5783 0.5220 -0.1 0.0 0.0
H -7.2270 -1.1710 -0.7772 -0.1 0.0 0.0
H -4.8964 -2.6954 0.4789 0.1 0.0 0.1
H 1.6013 1.5996 2.0238 -0.1 -0.1 0.0
H 1.6826 -0.8240 1.7438 0.0 0.0 0.0
H -6.2351 -1.9369 1.3516 0.0 -0.1 0.1
H -1.5568 2.3444 1.6903 0.0 0.0 -0.1
H -4.2131 -0.4395 -2.9347 0.0 0.1 0.0
H 2.5982 2.7391 0.1244 0.0 0.0 0.0
H -2.5221 2.9490 0.3351 0.1 0.0 0.0
H -4.3313 -0.8074 2.4888 0.2 0.1 0.0
H 0.7170 -0.7269 0.2449 0.0 0.0 0.1
H -5.5747 0.2818 0.4450 0.1 -0.1 -0.1
H 6.4026 -3.6777 -0.0861 0.1 -0.1 0.0
H 1.6192 2.8854 -1.3643 0.1 -0.1 0.1
H -7.0034 -2.9209 -0.8068 -0.1 0.0 0.0
H -0.0415 0.9323 1.9138 0.0 0.1 0.0

2.
60
Properties=species:S:1:pos:R:3:forces:R:3 method="wB97M-V/def2-TZVPD" e_above_lowest_ev=2.1892 smiles="CCCCn1c(SCC(=O)NCCOC)nc2ccc(N3CCOCC3)cc2c1=O" fmax_ev_per_a=0.95
S -0.0788 3.8328 1.6801 0.0 0.3 0.3
O 3.2895 4.1885 2.4577 0.1 0.2 0.4
O -1.3696 -4.4601 -5.1449 0.1 -0.1 0.0
O -2.7755 -0.1683 0.6788 0.0 -0.1 -0.1
O 1.5610 0.2850 2.1296 -0.1 0.1 0.0
N 2.8599 2.5466 0.9501 0.1 -0.3 -0.2
N 0.3881 2.1552 -0.2880 -0.2 0.4 0.2
N -0.6666 -2.2892 -3.4763 -0.2 -0.2 -0.4
N -1.4394 1.6236 1.0948 -0.1 -0.1 -0.3
C -1.2009 -0.9016 -1.5833 0.1 -0.1 0.0
C 2.7708 0.7900 2.6526 0.3 0.2 0.0
C 0.9700 0.7424 -2.1342 -0.2 0.0 0.1
C 0.0083 -2.4870 -4.7403 -0.2 -0.1 -0.2
C -1.8358 -0.8847 3.7549 -0.1 0.1 0.1
C 2.6363 3.7395 1.5416 -0.1 0.1 -0.5
C -0.9512 0.2081 -0.7855 0.5 0.1 -0.3
C 0.7225 -0.3645 -2.9089 0.0 -0.1 0.0
C 0.1360 1.0524 -1.0567 -0.5 -0.5 -0.1
C -2.0345 -4.2478 -3.9212 0.0 0.0 0.4
C -1.1156 -3.5493 -2.9176 -0.2 -0.2 -0.2
C 3.6349 1.5236 1.6106 -0.2 -0.1 0.3
C -0.3792 2.3902 0.7209 0.7 0.3 -0.6
C -0.3738 -1.2145 -2.6598 -0.1 0.4 0.4
C -1.8101 0.4975 0.3568 -0.2 -0.1 0.0
C -0.9379 -3.2369 -5.6877 0.3 0.3 -0.1
C 1.4530 4.4832 0.9317 -0.3 -0.3 0.2
C -1.9689 0.4797 4.4194 0.2 0.0 -0.1
C -1.3582 1.6014 3.5787 -0.2 -0.1 0.2
C 1.6925 -0.8813 1.3547 0.0 -0.1 0.0
C -2.1719 1.9240 2.3123 -0.2 0.1 0.5
H -2.0696 -1.4937 -1.3419 -0.1 -0.1 0.0
H -1.2759 2.5022 4.1879 0.1 0.0 0.0
H 3.3548 -0.0157 3.1189 0.0 0.0 0.0
H 2.1978 -0.6899 0.4015 0.0 0.0 0.0
H -2.2529 -1.6605 4.3930 0.0 -0.1 0.0
H -0.7864 -1.1112 3.5760 0.1 -0.1 0.0
H -1.6436 -3.3887 -1.9808 0.0 0.0 0.0
H -0.3484 1.3049 3.2871 0.0 0.1 0.0
H 1.4847 5.5348 1.2108 0.0 -0.1 0.0

N 2.6842 0.0554 0.1476 0.0 0.1 0.2
N -3.1753 0.7664 -0.7777 0.0 0.2 -0.1
N -3.9946 -0.4246 1.6147 -0.4 -0.3 0.1
C 5.9507 -1.6003 -0.3039 0.1 0.2 -0.1
C -5.6109 -1.8697 0.4574 -0.1 0.3 -0.1
C -2.2707 0.8041 0.3540 0.2 0.0 0.2
C 5.6294 -2.9258 -0.0470 -0.1 -0.1 0.0
C 3.3501 -2.2894 0.2990 0.0 0.2 -0.1
C 0.8723 1.1253 1.3553 -0.1 -0.4 0.2
C -6.4771 -1.9651 -0.7970 0.2 -0.2 0.0
C -5.6275 -1.8277 -2.0588 -0.2 0.2 0.0
C 2.4398 0.9101 -0.9976 0.0 0.3 -0.1
C -0.5111 2.5568 -0.1846 -0.4 0.2 0.2
C 1.8655 2.2414 -0.5194 0.1 0.0 -0.5
C -4.8445 -0.5172 -2.0499 0.3 -0.3 0.1
C -2.8110 0.2098 1.6642 0.1 0.0 -0.1
C 4.3302 -3.2675 0.2610 0.1 -0.1 0.0
C 6.5718 1.1203 -0.6753 0.2 0.1 -0.1
C -3.9683 -0.4421 -0.8037 -0.5 0.2 0.0
C -4.8479 -0.5481 0.4512 0.2 -0.2 -0.3
C -1.7559 2.2272 0.6242 0.1 -0.1 -0.1
C 4.9832 -0.6120 -0.2508 0.0 0.1 -0.1
C 1.4628 -0.2066 0.8717 0.0 0.2 0.3
C 3.6429 -0.9532 0.0452 0.2 -0.1 0.0
H -1.4185 0.1576 0.0913 -0.1 0.1 0.2
H 6.9770 0.6939 -1.5994 0.0 0.0 0.1
H 7.2206 0.8497 0.1641 0.0 0.0 0.0
H -3.2655 -1.2856 -0.8055 -0.1 -0.1 0.0
H -6.2699 -1.8665 -2.9398 0.0 -0.1 0.0
H -3.7773 1.5836 -0.7900 0.0 0.0 0.0
H 1.7205 0.4350 -1.6865 0.0 0.0 0.0
H -4.9287 -2.6648 -2.1172 0.0 -0.1 -0.1
H -5.5363 0.3281 -2.0561 0.0 0.1 0.0
H 3.3726 1.0842 -1.5279 -0.1 0.0 0.0
H 6.5378 2.2052 -0.7675 0.1 -0.1 0.0
H 4.0680 -4.2949 0.4640 0.0 -0.1 0.0
H 6.9749 -1.3490 -0.5298 0.1 0.1 0.0
H 2.3350 -2.5783 0.5220 -0.1 0.0 0.0
H -7.2270 -1.1710 -0.7772 -0.1 0.0 0.0
H -4.8964 -2.6954 0.4789 0.1 0.0 0.1
H 1.6013 1.5996 2.0238 -0.1 -0.1 0.0
H 1.6826 -0.8240 1.7438 0.0 0.0 0.0
H -6.2351 -1.9369 1.3516 0.0 -0.1 0.1
H -1.5568 2.3444 1.6903 0.0 0.0 -0.1
H -4.2131 -0.4395 -2.9347 0.0 0.1 0.0
H 2.5982 2.7391 0.1244 0.0 0.0 0.0
H -2.5221 2.9490 0.3351 0.1 0.0 0.0
H -4.3313 -0.8074 2.4888 0.2 0.1 0.0
H 0.7170 -0.7269 0.2449 0.0 0.0 0.1
H -5.5747 0.2818 0.4450 0.1 -0.1 -0.1
H 6.4026 -3.6777 -0.0861 0.1 -0.1 0.0
H 1.6192 2.8854 -1.3643 0.1 -0.1 0.1
H -7.0034 -2.9209 -0.8068 -0.1 0.0 0.0
H -0.0415 0.9323 1.9138 0.0 0.1 0.0